_Request_
Now echo only the lines further down with the word "this" in them.
_Input_
'''
Entry 1:
HgRuSeBr2 | GGA-PBE | optimized geometry

Unit cell a=5.280 b=5.280 c=4.681 alpha=90.00 beta=90.00 gamma=90.00
Atoms (fractional coordinates):
Hg 0.000 0.000 0.000
Ru 0.500 0.500 0.500
Se 0.500 0.500 0.000
Br 0.000 0.500 0.500
Br 0.500 0.000 0.500

## Properties
As for the energy relative to the lowest polymorph listed for this composition: 0 meV/atom. Its density of states at the Fermi level is 0.6773 states/eV/atom. The value obtained for the uncorrected formation energy is 0.13 eV/atom. For the electronic total energy, the calculation gives -15.782 eV per formula unit.

***

Entry 2:
HgRu2SeBr | GGA-PBE | optimized geometry

Unit cell a=4.630 b=4.630 c=5.424 alpha=90.00 beta=90.00 gamma=90.00
Atoms (fractional coordinates):
Hg 0.000 0.000 0.000
Ru 0.000 0.500 0.500
Ru 0.500 0.000 0.500
Se 0.500 0.500 0.000
Br 0.500 0.500 0.500

## Properties
Its density of states at the Fermi level is 1.2459 states/eV/atom. The value obtained for the uncorrected formation energy is 1.46 eV/atom. For the electronic total energy, the calculation gives -16.720 eV per formula unit.

***

Entry 3:
TaHgRu2Br | GGA-PBE | optimized geometry

Unit cell a=4.483 b=4.483 c=5.264 alpha=90.00 beta=90.00 gamma=90.00
Atoms (fractional coordinates):
Ta 0.000 0.000 0.000
Hg 0.500 0.500 0.000
Ru 0.000 0.500 0.500
Ru 0.500 0.000 0.500
Br 0.500 0.500 0.500

## Properties
Its density of states at the Fermi level is 1.6591 states/eV/atom. The value obtained for the uncorrected formation energy is 1.83 eV/atom. For the electronic total energy, the calculation gives -23.223 eV per formula unit.

***

Entry 4:
Hg4S2Br3 | GGA-PBE | optimized geometry

Unit cell a=8.746 b=8.746 c=7.710 alpha=93.57 beta=93.57 gamma=96.23
Atoms (fractional coordinates):
Hg 0.161 0.678 0.000
Hg 0.258 0.260 0.847
Hg 0.260 0.258 0.347
Hg 0.322 0.839 0.500
Hg 0.678 0.161 0.500
Hg 0.740 0.742 0.653
Hg 0.742 0.740 0.153
Hg 0.839 0.322 0.000
S 0.144 0.386 0.100
S 0.386 0.144 0.600
S 0.614 0.856 0.400
S 0.856 0.614 0.900
Br 0.026 0.733 0.422
Br 0.267 0.974 0.078
Br 0.383 0.617 0.750
Br 0.617 0.383 0.250
Br 0.733 0.026 0.922
Br 0.974 0.267 0.578

## Properties
Its density of states at the Fermi level is 0.3030 states/eV/atom. The value obtained for the uncorrected formation energy is -0.21 eV/atom. For the electronic total energy, the calculation gives -16.397 eV per formula unit.

***

Entry 5:
Hg2SBr | GGA-PBE | optimized geometry

Unit cell a=7.282 b=7.587 c=8.420 alpha=94.30 beta=94.39 gamma=114.57
Atoms (fractional coordinates):
Hg 0.000 0.000 0.000
Hg 0.019 0.873 0.538
Hg 0.068 0.519 0.976
Hg 0.464 0.067 0.267
Hg 0.579 0.101 0.749
Hg 0.675 0.535 0.557
S 0.097 0.790 0.160
S 0.374 0.179 0.539
S 0.967 0.212 0.807
Br 0.472 0.733 0.825
'''
_Done_
As for the energy relative to the lowest polymorph listed for this composition: 0 meV/atom. Its density of states at the Fermi level is 0.6773 states/eV/atom. The value obtained for the uncorrected formation energy is 0.13 eV/atom. For the electronic total energy, the calculation gives -15.782 eV per formula unit.